Request
Now print the data further below with every line break kept.
File
~~~
Computed XRD peak list of FeCoB4 for CuKα, from the GGA-PBE geometry in OQMD.
Peak positions follow from Bragg's law for the DFT cell and can differ from measured ones.

Top 8 peaks for 10 to 90 degrees two-theta, in order of falling intensity:
| index | 2theta | I (rel.) |
| --- | --- | --- |
| 1 1 2 | 47.68 | 100 |
| 1 1 0 | 34.63 | 78 |
| 0 2 2 | 47.50 | 51 |
| 0 2 0 | 34.39 | 40 |
| 0 0 2 | 31.74 | 35 |
| 1 3 0 | 61.76 | 26 |
| 2 2 2 | 81.86 | 18 |
| 1 1 4 | 77.02 | 13 |

```
data_FeCoB4
_space_group_name_H-M_alt 'I m m m'
_space_group_IT_number 71
_space_group_name_Hall '-I 2 2'
_cell_length_a 2.984
_cell_length_b 5.215
_cell_length_c 5.638
_cell_angle_alpha 90.00
_cell_angle_beta 90.00
_cell_angle_gamma 90.00
loop_
_atom_site_label
_atom_site_type_symbol
_atom_site_fract_x
_atom_site_fract_y
_atom_site_fract_z
_atom_site_occupancy
Fe1 Fe 0.000 0.000 0.000 1
Co1 Co 0.000 0.000 0.500 1
B1 B 0.000 0.333 0.251 1
```


# SnH22C6N2Cl4
Theoretical powder XRD pattern, copper Kα. Input: the GGA-PBE geometry in Alexandria.
Intensities are scaled so that the largest is 100.

Largest 10 diffraction maxima, in order of falling intensity, 2θ = 10–80°:
| two_theta | intensity |
| --- | --- |
| 15.37 | 100 |
| 10.95 | 77 |
| 13.21 | 74 |
| 28.00 | 44 |
| 19.73 | 43 |
| 27.60 | 43 |
| 13.62 | 42 |
| 18.66 | 38 |
| 12.91 | 32 |
| 37.85 | 24 |

Atomic structure:
abc: 6.8615 7.3602 8.7812
angles: 109.98 99.62 93.84
Fractional positions:
Sn  0.0000  0.0000  0.0000
H  0.0763  0.7403  0.5052
H  0.1140  0.5625  0.2253
H  0.2018  0.2715  0.9219
H  0.2086  0.5345  0.4885
H  0.2250  0.7967  0.2957
H  0.2342  0.0297  0.7926
H  0.3435  0.7759  0.5679
H  0.3760  0.1357  0.0017
H  0.4289  0.4460  0.2718
H  0.4308  0.5907  0.1434
H  0.4506  0.3062  0.6414
H  0.5494  0.6938  0.3586
H  0.5692  0.4093  0.8566
H  0.5711  0.5540  0.7282
H  0.6240  0.8643  0.9983
H  0.6565  0.2241  0.4321
H  0.7658  0.9703  0.2074
H  0.7750  0.2033  0.7043
H  0.7914  0.4655  0.5115
H  0.7982  0.7285  0.0781
H  0.8860  0.4375  0.7747
H  0.9237  0.2597  0.4948
C  0.2140  0.6796  0.4798
C  0.2345  0.1268  0.9188
C  0.4250  0.5928  0.2677
C  0.5750  0.4072  0.7323
C  0.7655  0.8732  0.0812
C  0.7860  0.3204  0.5202
N  0.2344  0.6610  0.3092
N  0.7656  0.3390  0.6908
Cl  0.1411  0.6598  0.8943
Cl  0.2295  0.0884  0.3018
Cl  0.7705  0.9116  0.6982
Cl  0.8589  0.3402  0.1057

=====

# TmSi2Rh4
Theoretical powder XRD pattern, copper Kα. Input: the GGA-PBE geometry in Alexandria.
Intensities are scaled so that the largest is 100.

Largest 10 diffraction maxima, in order of falling intensity, 2θ = 10–80°:
| two_theta | intensity |
| --- | --- |
| 37.64 | 100 |
| 37.86 | 60 |
| 45.07 | 38 |
| 39.51 | 36 |
| 40.57 | 26 |
| 71.74 | 25 |
| 45.81 | 20 |
| 35.55 | 17 |
| 62.23 | 15 |
| 66.22 | 13 |

Atomic structure:
abc: 16.6117 4.0234 6.3627
angles: 90.00 90.00 90.00
Fractional positions:
Tm  0.1380  0.2500  0.0059
Tm  0.3620  0.7500  0.5059
Tm  0.6380  0.2500  0.4941
Tm  0.8620  0.7500  0.9941
Si  0.0392  0.7500  0.2595
Si  0.2181  0.2500  0.5243
Si  0.2819  0.7500  0.0243
Si  0.4608  0.2500  0.7595
Si  0.5392  0.7500  0.2405
Si  0.7181  0.2500  0.9757
Si  0.7819  0.7500  0.4757
Si  0.9608  0.2500  0.7405
Rh  0.0301  0.7500  0.8558
Rh  0.0751  0.2500  0.5034
Rh  0.1838  0.7500  0.3084
Rh  0.1947  0.7500  0.7316
Rh  0.3053  0.2500  0.2316
Rh  0.3162  0.2500  0.8084
Rh  0.4249  0.7500  0.0034
Rh  0.4699  0.2500  0.3558
Rh  0.5301  0.7500  0.6442
Rh  0.5751  0.2500  0.9966
Rh  0.6838  0.7500  0.1916
Rh  0.6947  0.7500  0.7684
Rh  0.8053  0.2500  0.2684
Rh  0.8162  0.2500  0.6916
Rh  0.9249  0.7500  0.4966
Rh  0.9699  0.2500  0.1442


No. 1
Theoretical X-ray diffraction stick pattern
Compound: Tb5TeIr2
Radiation: Cu Kα X-rays
Structure: DFT lattice parameters and positions (GGA-PBE)
Kinematic intensities with the Lorentz-polarization factor, no thermal factor.

Crystal structure
```
data_Tb5TeIr2
_chemical_formula_sum 'Tb20 Te4 Ir8'
_space_group_name_H-M_alt 'I 4/m c m'
~~~
Done
Computed XRD peak list of FeCoB4 for CuKα, from the GGA-PBE geometry in OQMD.
Peak positions follow from Bragg's law for the DFT cell and can differ from measured ones.

Top 8 peaks for 10 to 90 degrees two-theta, in order of falling intensity:
| index | 2theta | I (rel.) |
| --- | --- | --- |
| 1 1 2 | 47.68 | 100 |
| 1 1 0 | 34.63 | 78 |
| 0 2 2 | 47.50 | 51 |
| 0 2 0 | 34.39 | 40 |
| 0 0 2 | 31.74 | 35 |
| 1 3 0 | 61.76 | 26 |
| 2 2 2 | 81.86 | 18 |
| 1 1 4 | 77.02 | 13 |

```
data_FeCoB4
_space_group_name_H-M_alt 'I m m m'
_space_group_IT_number 71
_space_group_name_Hall '-I 2 2'
_cell_length_a 2.984
_cell_length_b 5.215
_cell_length_c 5.638
_cell_angle_alpha 90.00
_cell_angle_beta 90.00
_cell_angle_gamma 90.00
loop_
_atom_site_label
_atom_site_type_symbol
_atom_site_fract_x
_atom_site_fract_y
_atom_site_fract_z
_atom_site_occupancy
Fe1 Fe 0.000 0.000 0.000 1
Co1 Co 0.000 0.000 0.500 1
B1 B 0.000 0.333 0.251 1
```


# SnH22C6N2Cl4
Theoretical powder XRD pattern, copper Kα. Input: the GGA-PBE geometry in Alexandria.
Intensities are scaled so that the largest is 100.

Largest 10 diffraction maxima, in order of falling intensity, 2θ = 10–80°:
| two_theta | intensity |
| --- | --- |
| 15.37 | 100 |
| 10.95 | 77 |
| 13.21 | 74 |
| 28.00 | 44 |
| 19.73 | 43 |
| 27.60 | 43 |
| 13.62 | 42 |
| 18.66 | 38 |
| 12.91 | 32 |
| 37.85 | 24 |

Atomic structure:
abc: 6.8615 7.3602 8.7812
angles: 109.98 99.62 93.84
Fractional positions:
Sn  0.0000  0.0000  0.0000
H  0.0763  0.7403  0.5052
H  0.1140  0.5625  0.2253
H  0.2018  0.2715  0.9219
H  0.2086  0.5345  0.4885
H  0.2250  0.7967  0.2957
H  0.2342  0.0297  0.7926
H  0.3435  0.7759  0.5679
H  0.3760  0.1357  0.0017
H  0.4289  0.4460  0.2718
H  0.4308  0.5907  0.1434
H  0.4506  0.3062  0.6414
H  0.5494  0.6938  0.3586
H  0.5692  0.4093  0.8566
H  0.5711  0.5540  0.7282
H  0.6240  0.8643  0.9983
H  0.6565  0.2241  0.4321
H  0.7658  0.9703  0.2074
H  0.7750  0.2033  0.7043
H  0.7914  0.4655  0.5115
H  0.7982  0.7285  0.0781
H  0.8860  0.4375  0.7747
H  0.9237  0.2597  0.4948
C  0.2140  0.6796  0.4798
C  0.2345  0.1268  0.9188
C  0.4250  0.5928  0.2677
C  0.5750  0.4072  0.7323
C  0.7655  0.8732  0.0812
C  0.7860  0.3204  0.5202
N  0.2344  0.6610  0.3092
N  0.7656  0.3390  0.6908
Cl  0.1411  0.6598  0.8943
Cl  0.2295  0.0884  0.3018
Cl  0.7705  0.9116  0.6982
Cl  0.8589  0.3402  0.1057

=====

# TmSi2Rh4
Theoretical powder XRD pattern, copper Kα. Input: the GGA-PBE geometry in Alexandria.
Intensities are scaled so that the largest is 100.

Largest 10 diffraction maxima, in order of falling intensity, 2θ = 10–80°:
| two_theta | intensity |
| --- | --- |
| 37.64 | 100 |
| 37.86 | 60 |
| 45.07 | 38 |
| 39.51 | 36 |
| 40.57 | 26 |
| 71.74 | 25 |
| 45.81 | 20 |
| 35.55 | 17 |
| 62.23 | 15 |
| 66.22 | 13 |

Atomic structure:
abc: 16.6117 4.0234 6.3627
angles: 90.00 90.00 90.00
Fractional positions:
Tm  0.1380  0.2500  0.0059
Tm  0.3620  0.7500  0.5059
Tm  0.6380  0.2500  0.4941
Tm  0.8620  0.7500  0.9941
Si  0.0392  0.7500  0.2595
Si  0.2181  0.2500  0.5243
Si  0.2819  0.7500  0.0243
Si  0.4608  0.2500  0.7595
Si  0.5392  0.7500  0.2405
Si  0.7181  0.2500  0.9757
Si  0.7819  0.7500  0.4757
Si  0.9608  0.2500  0.7405
Rh  0.0301  0.7500  0.8558
Rh  0.0751  0.2500  0.5034
Rh  0.1838  0.7500  0.3084
Rh  0.1947  0.7500  0.7316
Rh  0.3053  0.2500  0.2316
Rh  0.3162  0.2500  0.8084
Rh  0.4249  0.7500  0.0034
Rh  0.4699  0.2500  0.3558
Rh  0.5301  0.7500  0.6442
Rh  0.5751  0.2500  0.9966
Rh  0.6838  0.7500  0.1916
Rh  0.6947  0.7500  0.7684
Rh  0.8053  0.2500  0.2684
Rh  0.8162  0.2500  0.6916
Rh  0.9249  0.7500  0.4966
Rh  0.9699  0.2500  0.1442


No. 1
Theoretical X-ray diffraction stick pattern
Compound: Tb5TeIr2
Radiation: Cu Kα X-rays
Structure: DFT lattice parameters and positions (GGA-PBE)
Kinematic intensities with the Lorentz-polarization factor, no thermal factor.

Crystal structure
```
data_Tb5TeIr2
_chemical_formula_sum 'Tb20 Te4 Ir8'
_space_group_name_H-M_alt 'I 4/m c m'